
1 Introduction

Wrist fractures are the commonest type of fractures seen in emergency departments (EDs), They are estimated to be 18% of the fractures seen in adults [1, 2] and of 25% of fractures seen in children [2]. They are usually identified in EDs by doctors examining lateral (LAT) and posterioanterior (PA) radiographs. Yet wrist fractures are one of the most commonly-missed in ED-examined radiographs [3, 4]. Systems that can identify suspicious wrist areas and notify ED staff could reduce the number of misdiagnoses.

In this paper we describe a fully-automated system for detecting radius fractures in PA and LAT radiographs. For each view, a global search [5] is performed for finding the approximate position of the radius. The detailed outline of the bone is then located using a random forest regression voting constrained local model (RFCLM) [6]. Convolutional neural networks (CNNs) are trained on cropped patches containing the region of interest on the task of detecting fractures. The decisions from both views are averaged for better performance. This paper is the first to show an automatic system for identifying fractures from PA and LAT view radiographs of the wrist by using convolutional neural networks, outperforming previously-published works.

2 Previous Work

Early work on fracture detection used non-visual techniques: analysing mechanical vibration [7], analysing acoustic waves travelling along the bone [8], or by measuring electrical conductivity [9]. The first published work on detecting fractures in radiographs was that in [10] where an algorithm is developed to measure the femur neckshaft angle and use it to determine whether the femur is fractured. There is a body of literature on radiographic fracture detection on a variety of anatomical regions, including arm fractures [11], femur fractures [10, 12,13,14,15], and vertebral endplates [16]. Cao et al. [17] worked on fractures in a range of different anatomical regions using stacked random forests to fuse different feature representations (Schmid texture feature, Gabor texture feature, and forward contextual-intensity). They achieved a sensitivity of 81% and precision of 25%. Work on wrist fracture detection from radiographs is still limited. The earliest works [13, 14] used active shape models and active appearance models [18] to locate the approximate contour of the radius and trained support vector machine (SVM) on extracted texture features (Gabor, Markov random field, and gradient intensity). They worked on a small dataset with only 23 fractured examples in their test set and achieved encouraging performance. In previous work [19, 20] we used RFCLMs [21] to segment the radius in PA and LAT views and trained random forest (RF) classifiers on statistical shape parameters and eigen-mode texture features [18]. The fully automated system achieved a performance of 91.4% (area under receiver operating characteristic curve, AUC) on a dataset of 787 radiographs (378 of which were fractured) in cross-validation experiments and was the first to combine the both views. Instead of hand-crafting features Kim et al. [22] re-trained the top layer (i.e. classifier) of inception v3 network [23] to detect fractures in wrist LAT views from features previously-learned from non-radiological images (ImageNet [24]). This was the first work to use deep learning in the task of detecting wrist fractures. The system was tested on 100 images (half of which fractured) and reported an AUC of 95.4%. However, they excluded images where lateral projection was inconclusive for the presence or absence of fracture which would bias the results favourably but contradict the goal of developing such systems (i.e. helping clinicians with difficult usually-missed fractures). Olczak et al. [25] re-trained five common deep networks from Caffe library [26] on dataset of 256,000 wrist, hand, and ankle radiographs, of which 56% of the images contained fractures. The dataset was divided into (70% training, 20% validation, and 10% testing) and used to train the networks for the tasks of detecting fractures, determining which exam view, body part, and laterality (left or right). Labels were extracted by automatically mining reports and DICOMs. The images were rescaled to \(256\,{\times }\,256\) and then cropped into a subsection of the original image with the network’s input size. The pre-processing causes image distortion but they justified that as the nature of tasks does not need non-distorted images. The networks were pre-trained on the ImageNet dataset [24] and then their top layers (i.e. classifier) were replaced with fully connected layers suitable for each task. The best performing network (VGG 16 [27]) achieved a fracture detection accuracy of 83% without reporting false positive rate. The model deals with various views independently but it does not combine them for a decision. Another related work [28] used a very deep CNN-based model (169 trainable layers) for abnormality detection from raw radiographs. Images are labelled as normal or abnormal, where abnormal does not always mean “fractured” - it sometimes means there is metalwork present. Their dataset contains metal hardware in both categories (normal and abnormal) and also contains different age groups. This makes the definition of abnormality is rather unclear as what is considered abnormal for a certain group can be seen as normal for another age group and vice versa.

3 Background

3.1 Shape Modeling and Matching

Statistical shape models (SSMs) [18] are widely used for studying the contours of bones. Shape is the quality left after all differences due to location, orientation, and scale are omitted in a population of same-class objects. SSMs assume that each shape instance is a deformed version of the mean shape describing the object class. The training data is used to identify the mean shape and its possible deformations. The contour of an object is described by a set of model points \((x_i\), \(y_i)\) packed in a 2n-D vector \(\mathbf {x}=(x_{1},\ldots ,x_{n},y_{1},\ldots ,y_{n})^T\). An SSM is a linear model of shape variations of the object across the training dataset built by applying principal component analysis (PCA) to aligned shapes and fitting a Gaussian distribution in the reduced space. A shape instance \(\mathbf {x}\) is represented as:

$$\begin{aligned} \mathbf {x} \approx T_{\theta }(\bar{\mathbf {x}}+\mathbf {P}\mathbf {b}:\theta ), \end{aligned}$$

where \(\bar{\mathbf {x}}\) is the mean shape, \(\mathbf {P}\) is the set of the orthogonal eigenvectors corresponding to the t highest eigenvalues of the covariance matrix of the training data, \(\mathbf {b}\) is the vector of shape parameters and \(T(.:\theta )\) applies a similarity transformation with parameters \(\theta \) between the common reference frame and the image frame. The number of the used eigenvectors t is chosen to represent most of the total variation (i.e. 95–\(98\%\)).

One of the most effective algorithms for locating the outline of bones in radiographs is RFCLM [6]. This uses a collection of RFs to predict the most likely location of each point based on nearby image patches. A shape model is then used to constrain the points and encode the result.

3.2 Convolutional Neural Network

CNNs are a class of deep feed-forward artificial neural networks for processing data that has a known grid-like topology. They emerged from the study of the brain’s visual cortex and benefited from the recent increase in the computational power and the amount of available training data.

A typical CNN (Fig. 1) stacks few convolutional layers, then followed by a subsampling layer (Pooling layer), then another few convolutional layers, then another pooling layer, and so on. At the top of the stack fully-connected layers are added outputing a prediction (e.g. estimated class probabilities). This layer-wise fashion allows CNNs to combine low-level features to form higher-level features (Fig. 2), learning features and eliminating the need for hand crafted feature extractors. In addition, the learned features are translation invariant, incorporating the two-dimensional (2D) spatial structure of images which contributed to CNNs achieving state-of-the-art results in image-related tasks.

Fig. 1.
figure 1

A convolutional neural network-based classifier applied to a single-channel input image. Every convolutional layer (Conv) transforms its input to a three-dimensional output volume of neuron activations. The pooling layer (Pool) downsamples the volume spatially, independently in each feature map of its input volume. At the end fully-connected layers (FC) output a prediction.

A convolutional layer has k filters (or kernels) of size \(r\,{\times }\,r\,{\times }\,c\) (receptive field size) where r is smaller than the input width/height, and c is the same as the input depth. Every filter convolves with the input volume in sliding-window fashion to produce feature maps (Fig. 2). Each convolution operation is followed by a nonlinear activation, typically a rectified linear unit (ReLU) which sets any negative values to zero. A feature map can be subsampled by taking the mean or maximum value over \(p\,{\times }\,p\) contiguous regions to produce translation invariant features (Pooling). The value of p usually ranges between 2–5 depending on how large the input is. This reduction in spatial size leads to fewer parameters, less computation, and controls overfitting.

The local connections, tied weights, and pooling result in CNNs have fewer trainable parameters than fully connected networks with the same number of hidden units. The parameters are learned by back propagation with gradient-based optimization to reduce a cost function.

Fig. 2.
figure 2

In the convolutional neural network, k neurons receive input from only a restricted subarea (receptive field) of the previous layer output. Convolving the filters with the whole input volume produces k feature maps.

4 Methods

4.1 Patch Preparation

Because most parts of a radiograph are either background or irrelevant to the task, we chose to train CNNs on cropped patches rather than raw images. The steps of the automated system are shown in Fig. 3. Following our previous work [20] we used a global search with a random forest regression voting (RFRV) technique to find the approximate radius location (red dots in Fig. 3) followed by a local search performed by a sequence of RFCLM models with an increasing resolution to find its contour. The automatic point annotation gives information on the position, orientation and scale of the distal radius accurately. This is used to transfer the bone to a standardized coordinate frame before cropping a patch of size (\(n_i\,{\times }\,n_i\) pixels) containing the bone. We used the resulting patches to train and test a CNN. This process is completely automatic. Figure 4 shows examples of radiographs and extracted patches.

Fig. 3.
figure 3

Fully automated system for detecting wrist fractures. (Color figure online)

-- Records of molecules, kept here for reference --
~~~
one.
DFT (ωB97M-V/def2-TZVPD) results for the molecule C4H5I.

The structure (SMILES) is CC1(I)C=C1. The spin multiplicity is 1.

Bonds (Å) are listed after each position.
Positions of all 10 atoms, in Å:
1 C -0.460 1.265 -0.030  C2 1.543, H6 1.166, H7 1.049, H8 1.107
2 C 0.395 -0.019 -0.064  C1 1.543, I3 2.214, C4 1.452, C5 1.480
3 I 2.596 0.219 -0.026  C2 2.214
4 C -0.193 -1.209 -0.652  C2 1.452, C5 1.289, H9 1.036
5 C -0.036 -1.255 0.626  C2 1.480, C4 1.289, H10 1.070
6 H -0.786 1.377 1.085  C1 1.166
7 H -1.337 0.979 -0.530  C1 1.049
8 H 0.174 2.004 -0.556  C1 1.107
9 H -0.099 -1.818 -1.486  C4 1.036
10 H -0.254 -1.543 1.633  C5 1.070

=====

two.
DFT (ωB97M-V/def2-TZVPD) results for the molecule C4H5I.

The structure (SMILES) is C[C@@H]1C=C1I. The spin multiplicity is 1.

Bonds (Å) are listed after each position.
Positions of all 10 atoms, in Å:
1 C -0.698 0.680 -0.908  C2 1.532, H6 1.120, H7 1.203, H8 1.036
2 C 0.496 0.341 -0.009  C1 1.532, C3 1.543, C4 1.489, H9 1.089
3 C 0.711 -1.182 0.113  C2 1.543, C4 1.308, H10 0.976
4 C 0.336 -0.533 1.185  C2 1.489, C3 1.308, I5 2.069
5 I -0.221 -0.492 3.178  C4 2.069
6 H -1.554 0.127 -0.444  C1 1.120
7 H -0.578 0.325 -2.051  C1 1.203
8 H -0.865 1.658 -0.610  C1 1.036
9 H 1.317 1.049 -0.111  C2 1.089
10 H 1.056 -1.972 -0.344  C3 0.976

=====

three.
DFT (ωB97M-V/def2-TZVPD) results for a cluster of 2 separate species, C4H5I in total.

The spin multiplicity is 1.

Bonds (Å) are listed after each position.
Positions of all 10 atoms, in Å:
1 C -0.052 -1.343 1.647  C3 1.290, H6 1.066, H7 1.110
2 C 0.411 1.181 -1.696  C4 1.326, H8 1.064, H9 1.061
3 C 0.002 -1.153 0.372  C1 1.290, H10 1.104
4 C -0.174 0.786 -0.573  C2 1.326, I5 2.011
5 I -1.405 1.833 0.625  C4 2.011
6 H -0.229 -2.197 2.259  C1 1.066
7 H -0.215 -0.415 2.233  C1 1.110
8 H 0.266 2.214 -1.903  C2 1.064
9 H 1.074 0.774 -2.418  C2 1.061
10 H 0.322 -1.679 -0.545  C3 1.104

=====

How do the energies compare? Relative to the most stable structure, in kcal/mol: one 0.0; two 5.8; three 31.7.

----------
~~~

Fig. 4.
figure 4

Example of pairs of radiographs for four subjects with (a) a normal radius, (b)–(d) fracture radiuses. The first and third rows show the posterioanterior and lateral views respectively. The corresponding cropped patches appear below each view.

4.2 Network Architecture

We trained a CNN for each view. The two CNNs were classical stacks of CP layers (CP refers to one ReLU-activated convolutional layer followed by a pooling layer) with two consecutive fully-connected (FC) layers. No padding was used. Weights were initialised with the Xavier uniform kernel initializer [29] and biases initialised to zeros. The loss function was binary cross entropy optimised with Adam [30] (default parameter values used). An input patch size of \(121\,{\times }\,121\), and of \(151\,{\times }\,151\) were used for PA, and LAT networks respectively. Architecture details are summarised in Table 1. In our experiments we gradually increased the number of CP layers and chose the network with the best performance. Figure 5 shows an example network with three CP layers followed by two FC layers.

Fig. 5.
figure 5

Fully automated system for detecting wrist fractures.

5 Experiments and Results

5.1 Data

We collected a wrist dataset containing 1010 pairs of wrist radiographs (PA and LAT) for 1010 adult patients, 505 of whom had fractures (Fig. 4). Images for 787 patients, 378 of whom had fractures, were gathered from two local EDs while the rest were gathered from the MURA dataset [28] with fractures as abnormality. Fractured examples do not contain any plaster casts or metalware to make sure the network learns features for detecting fracture not hardware.

5.2 Fracture Detection

We carried out 5-fold cross validation experiments. During each fold 802 radiographs were used as training set, 102 as validation set, and 102 as testing set. The validation and testing sets were then swapped so that all the data were tested exactly once. Every time a network was trained from scratch for 20 epochs with batch size\(\,{=}\,32\) and the model with the lowest validation loss was selected. Training data was randomly shuffled at the start of each epoch to produce different batches each time. We found the architectures with three CP layers, and with four CP layers performed the best for the LAT view, and PA view respectively. Having trained the two CNNs, one for each view, their outputs are combined by averaging (Fig. 6). Figure 7 shows the average performance and learning curves. We achieved an average performance of AUC\(\,{=}\,95\)% for PA view, 93% for LAT view, and 96% from both views combined.

Table 1. The overall architecture detailed with maps’ sizes corresponding to an input wrist patch of size \(121\,{\times }\,121\). Same architecture also used with \(151\,{\times }\,151\). In our experiments we gradually increased the number of CP layers and chose the network with the best performance.
Fig. 6.
figure 6

During testing the outputs for both views are combined by averaging.

Fig. 7.
figure 7

Fracture detection. (a) Receiver operating characteristic (ROC) curve for posterioanterior view. (b) ROC curve for lateral view. (c) ROC curve for both views combined. (d) Example of learning curves for a model.

Kim et al. [22] used features originally learned to classify non-radiological images [24] and used them to detect fractures in LAT views and reported an AUC of 95.4%. Unlike their work we have not excluded images where lateral projection was inconclusive for the presence or absence of fracture which would bias the results favourably. In our case, we performed 5-fold cross-validation and reported an overall AUC of 96%. For the sake of comparison with our previous RF-based technique in [20] we repeated all experiments in [20] on the current dataset with the same fold divisions and found an AUC of 92% from two views combined, 89% and 91% for PA view, and LAT view respectively (Table 2 and Fig. 8). The CNN-based technique clearly outperforms the RF-based one.

Table 2. Comparison between convolutional neural network (CNN)-based and random forest (RF)-based techniques on the same dataset in terms of area under the curve ± standard deviation (PA - posteroanterior, LAT - lateral).
Fig. 8.
figure 8

Comparison between receiver operating characteristics curves for the proposed convolutional neural network-based technique and the relevant random forest-based work in [20] on: (a) posteroanterior view, (b) lateral view, and (c) both views combined for the same dataset in terms of area under the curve ± standard deviation.

5.3 Conclusions

We presented a system for automatic wrist fracture detection from plain PA and LAT X-rays. The CNN is trained from scratch on radiographic patches cropped around the joint after automatic segmentation and registration. This directed preprocessing ensures meaningful learning from only the targeted region in scale which in turn reduces the noise a CNN is exposed to compared to when trained on full images containing parts that are not relevant to the task. Radiographs, unlike photos, have predictable contents that allow model-based techniques to work well and therefore they can provide CNNs with an input that dispense with the need to: (1) perform any data augmentation and (2) unnecessarily complicate the deep architecture and its learning process. Our work was the first to train CNNs from scratch on the task of detecting wrist fractures and to combine the two views for a decision. The experiments showed that combining the results from both views leads to an improvement in overall classification performance, with an AUC of 96% compared to 95% for PA view and 93% for LAT view.